Assignment:
Count the lines further below that contain the word "in" and give the number alone.

Excerpt:
=====
Record 1
One molecule with the formula C18H16F2N4O3 in a non-equilibrium geometry. Source: the Open Molecules 2025 dataset; level of theory: ωB97M-V/def2-TZVPD.

```
43
Properties=species:S:1:pos:R:3:mulliken_charge:R:1
O 2.07 -0.87 -1.68 -0.445
C 1.89 0.11 -1.15 0.404
C 0.42 0.81 -1.23 -0.622
O -0.02 1.54 0.09 -0.533
C -0.35 0.72 1.03 -0.297
C -1.84 0.24 1.28 0.557
O -2.02 -0.72 1.82 -0.521
N -2.63 0.94 0.53 0.101
N -3.89 0.92 -0.15 -0.628
C -4.51 -0.18 0.57 -0.209
C -5.99 -0.47 0.25 0.548
C -6.58 0.82 -0.61 -0.636
C -8.04 0.53 -0.76 -0.464
C -8.66 -0.51 -0.26 0.378
F -10.04 -0.64 -0.61 -0.319
C -8.11 -1.31 0.45 0.020
C -6.80 -1.34 0.67 -0.223
N 2.74 0.97 -0.42 0.295
N 3.96 0.71 -0.16 -0.568
C 4.63 -0.39 -0.75 -1.125
C 5.96 -0.37 -0.23 1.184
C 6.69 -1.46 -0.62 -0.784
C 8.11 -1.41 -0.62 -0.600
C 8.65 -0.44 0.21 0.557
F 10.04 -0.47 0.63 -0.313
C 8.01 0.54 0.82 -0.820
C 6.57 0.87 0.55 -0.721
H -0.54 -0.05 -1.06 0.274
H 0.14 1.33 -2.00 0.593
H -0.34 1.54 2.07 0.259
H 0.49 -0.17 1.43 0.162
H -2.18 1.74 -0.10 0.311
H -4.20 -0.95 1.50 0.123
H -5.99 1.46 -1.16 0.468
H -8.41 1.48 -1.48 0.161
H -8.74 -2.34 0.89 0.187
H -6.27 -2.00 1.46 0.194
H 2.14 1.64 0.13 0.372
H 4.25 -1.16 -1.19 0.697
H 6.24 -2.11 -1.29 0.388
H 8.72 -2.26 -1.02 0.377
H 8.49 1.13 1.34 0.661
H 5.93 1.57 0.82 0.555
```

Kohn-Sham gap (Ha): 0.279
Net charge: 0
Spin multiplicity: 1
Lowest unoccupied orbital energy (eV): -0.520
Strongest force on any atom (eV/A): 15.30
SMILES string: O=C(COCC(=O)N/N=C/c1ccc(F)cc1)N/N=C/c1ccc(F)cc1

Record 2
C18H16HfIN5O7 as an isolated structure in a non-equilibrium geometry. Source: the Open Molecules 2025 dataset; level of theory: ωB97M-V/def2-TZVPD.

```
48
Properties=species:S:1:pos:R:3:mulliken_charge:R:1
C 1.64 2.77 -0.17 -0.696
C 2.57 1.27 -0.97 -0.327
H 1.43 3.55 -0.92 0.567
H 2.56 3.05 0.37 0.603
H 0.91 2.56 0.66 0.250
H 2.10 0.70 -1.84 0.431
H 3.34 1.89 -1.46 0.585
H 3.01 0.69 -0.14 0.373
C -2.79 1.37 -1.67 -0.129
C -3.97 1.17 -2.39 -0.883
C -4.05 0.09 -3.27 -0.480
C -2.95 -0.74 -3.40 -0.990
H -2.67 2.21 -0.99 0.470
H -4.80 1.87 -2.24 0.421
H -4.96 -0.10 -3.84 0.463
H -2.95 -1.59 -4.08 0.375
N -1.73 0.56 -1.78 0.015
C -1.79 -0.50 -2.63 1.008
C -0.60 -1.37 -2.67 0.910
N 0.48 -0.97 -1.92 0.255
C 1.48 -1.85 -1.72 0.260
C 0.48 -3.47 -3.18 -0.483
C 1.53 -3.09 -2.34 -0.952
H 2.26 -1.54 -1.02 0.230
H 2.39 -3.73 -2.16 0.436
C -0.60 -2.60 -3.34 -1.116
H -1.46 -2.86 -3.95 0.372
H 0.49 -4.44 -3.69 0.466
Hf 0.45 1.15 -0.83 0.104
I 0.39 2.60 -3.27 -0.067
O -0.89 0.72 6.70 -0.538
N 0.10 0.15 6.21 0.949
O 1.02 -0.33 6.91 -0.536
C 0.22 0.05 4.77 -0.636
C -0.77 0.63 3.95 -0.644
C -0.59 0.61 2.57 -0.146
C 0.52 -0.10 2.01 1.134
O 0.81 -0.04 0.73 -0.462
C 1.45 -0.73 2.86 -0.268
C 1.35 -0.59 4.23 -0.312
N 2.66 -1.29 2.23 0.942
O 3.75 -0.91 2.71 -0.516
O 2.56 -2.07 1.28 -0.519
N -1.42 1.42 1.73 0.948
O -2.50 1.84 2.12 -0.467
O -0.97 1.81 0.54 -0.661
H -1.63 1.13 4.38 0.641
H 2.13 -0.97 4.89 0.619
```

Kohn-Sham gap (alpha / beta) (Ha): 0.234 / 0.234
Relative energy (zero: lowest compared OMol25 entry of this formula, charge and spin) (kJ/mol): 277.95
Net charge: +2
Spin multiplicity: 1
Lowest unoccupied orbital energy (alpha / beta) (eV): -8.817 / -8.816
Strongest force on any atom (eV/A): 9.97

Record 3
One molecule with the formula C18H16N2O6S. Source: the Open Molecules 2025 dataset; level of theory: ωB97M-V/def2-TZVPD.

```
43
Properties=species:S:1:pos:R:3:mulliken_charge:R:1
C 2.15 5.18 2.41 -0.680
O 2.11 3.81 2.05 -0.285
C 3.22 3.32 1.47 0.549
O 4.20 3.99 1.26 -0.614
C 3.10 1.89 1.13 0.173
C 4.14 1.27 0.45 -0.869
C 4.05 -0.06 0.11 -0.806
C 2.94 -0.82 0.44 0.934
C 2.81 -2.25 0.03 -1.476
C 1.89 -0.20 1.14 0.293
N 0.76 -0.95 1.50 -0.104
C -0.52 -0.75 1.16 0.531
O -1.40 -1.52 1.47 -0.683
C -0.84 0.50 0.32 -1.073
N -1.80 0.07 -0.66 -0.010
C -3.13 -0.07 -0.33 0.607
O -3.70 0.58 0.51 -0.650
C -3.75 -1.11 -1.19 0.285
C -5.09 -1.45 -1.18 -0.625
C -5.52 -2.48 -2.01 -0.516
C -4.63 -3.15 -2.83 -0.433
C -3.28 -2.80 -2.85 -0.706
C -2.87 -1.79 -2.02 0.372
=====

Here it is:
2